Through an old window, a window that held an old music box, you could see the hard winter snow falling. If you looked hard enough, you could see a figure walking, slowly making its way closer. The figure was wearing red, and the closer it got, you could tell it was a woman. She had long black hair, and her skin was almost as white as snow falling around her. Her lips were blue, telling whoever looked at her, that she had been out in the cold way too long.

The girl stopped and looked up at the large place she would call home. She let out a hard breath, fog coming from her mouth. She picked up her dress to step up the sizeable gray stone steps, once she got to the door, she knocked lightly and then knelt on her knee's, her head down.

She felt defeated to be here, she didn't want to be here, but alas she did not want to burden her mother any longer. She was 17, not married, though one of the village boys had asked for her hand. She had turned him down, even though it would have meant wealth. Her mother was not mad, but she was worried about her daughters future. Women who did not marry were looked down upon; people would start talking, it would cause trouble. She could have been a Miko, but she had a heart for love, she wanted to get married and have kids, unlike her sister, who was a Miko.

- - -
First-principles (PBE-GGA) data for an optimized crystal structure of ThCo2P2, as listed in the Materials Project.

```
data_ThCo2P2
_chemical_formula_sum 'Th2 Co4 P4'
_space_group_name_H-M_alt 'P 4/n m m'
_space_group_IT_number 129
_cell_length_a 4.023
_cell_length_b 4.023
_cell_length_c 9.121
_cell_angle_alpha 90.00
_cell_angle_beta 90.00
_cell_angle_gamma 90.00
loop_
_space_group_symop_operation_xyz
'x,y,z'
'-x,-y,-z'
'-y+1/2,x,z'
'y+1/2,-x,-z'
'-x+1/2,-y+1/2,z'
'x+1/2,y+1/2,-z'
'y,-x+1/2,z'
'-y,x+1/2,-z'
'x+1/2,-y,-z'
'-x+1/2,y,z'
'-y,-x,-z'
'y,x,z'
'-x,y+1/2,-z'
'x,-y+1/2,z'
'y+1/2,x+1/2,-z'
'-y+1/2,-x+1/2,z'
loop_
_atom_site_label
_atom_site_type_symbol
_atom_site_fract_x
_atom_site_fract_y
_atom_site_fract_z
Th1 Th 0.250 0.250 0.249
Co1 Co 0.250 0.250 0.889
Co2 Co 0.250 0.750 0.500
P1 P 0.250 0.250 0.631
P2 P 0.250 0.750 0.000
```

- Total energy: -0.2777 Ha/atom
- Calculated formation energy: -1.06 eV per atom

---

First-principles (PBE-GGA) data for an optimized crystal structure of Th2Co3P3, as listed in the Materials Project.

```
data_Th2Co3P3
_chemical_formula_sum 'Th2 Co3 P3'
_space_group_name_H-M_alt 'P 4/m m m'
_space_group_IT_number 123
_space_group_name_Hall '-P 4 2'
_cell_length_a 5.384
_cell_length_b 5.384
_cell_length_c 17.847
_cell_angle_alpha 90.00
_cell_angle_beta 90.00
_cell_angle_gamma 90.00
loop_
_atom_site_label
_atom_site_type_symbol
_atom_site_fract_x
_atom_site_fract_y
_atom_site_fract_z
Th1 Th 0.000 0.000 0.235
Co1 Co 0.000 0.000 0.119
Co2 Co 0.000 0.000 0.500
P1 P 0.000 0.000 0.000
P2 P 0.000 0.000 0.379
```

- Total energy: -0.1865 Ha/atom
- Calculated formation energy: 1.47 eV per atom
- Total magnetic moment: 0.522 μB per atom

---

First-principles (PBE-GGA) data for an optimized crystal structure of Tm6Co30P19, as listed in the Materials Project.

```
data_Tm6Co30P19
_chemical_formula_sum 'Tm6 Co30 P19'
_space_group_name_H-M_alt 'P -6'
_space_group_IT_number 174
_cell_length_a 14.6356
_cell_length_b 14.6356
_cell_length_c 3.5581
_cell_angle_alpha 90.00
_cell_angle_beta 90.00
_cell_angle_gamma 120.00
loop_
_space_group_symop_operation_xyz
'x,y,z'
'-x+y,-x,-z'
'-y,x-y,z'
'x,y,-z'
'-x+y,-x,z'
'-y,x-y,-z'
loop_
_atom_site_label
_atom_site_type_symbol
_atom_site_fract_x
_atom_site_fract_y
_atom_site_fract_z
Tm1 Tm 0.0380 0.7647 0.0000
Tm2 Tm 0.4310 0.0598 0.5000
Co1 Co 0.0633 0.6229 0.5000
Co2 Co 0.0679 0.2500 0.5000
Co3 Co 0.1085 0.3919 0.0000
Co4 Co 0.1086 0.0152 0.0000
Co5 Co 0.1755 0.5363 0.5000
Co6 Co 0.2214 0.6911 0.0000
Co7 Co 0.2594 0.1299 0.5000
Co8 Co 0.4073 0.2016 0.0000
Co9 Co 0.4812 0.4004 0.0000
Co10 Co 0.5576 0.3183 0.5000
P1 P 0.0163 0.8988 0.5000
P2 P 0.0784 0.5317 0.0000
P3 P 0.1970 0.7871 0.5000
P4 P 0.2706 0.0372 0.0000
P5 P 0.3333 0.6667 0.5000
P6 P 0.3941 0.2954 0.5000
P7 P 0.5656 0.2138 0.0000
```

- Total energy: -0.2603 Ha/atom
- Calculated formation energy: -0.85 eV per atom
- Total magnetic moment: 0.127 μB per atom

---
- - -

The girl waited for the door to open, her eyes closed, taking in the moment that would change her life. It was her mother who sent her here, it was her idea, yet she had not forced it, but she thought it might do her good, she wanted her daughter to meet people, maybe one day find what it was her heart was really looking. But she knew, in this place, it would be hard to find.

The large doors opened, a woman stepped out, her clothing touched the ground and made a noise as it dragged.

"Kagome," The women said, her voice as cold as the winter itself.

The girl looked up from her spot on the cold ground, her eyes were bright as always, "Kikyo" She spoke back, her voice much softer than the other women.

"Tell me, sister, what brings you here?" Kikyo was a bit surprised to see her, yet not.

Kagome looked down again "Mother thought it would do me good, I do not wish to be in her way any longer."

[Data records, as found in the file]
~~~
1.
# Gd2P4O13 | the Materials Project | GGA-PBE | optimized geometry
data_Gd2P4O13
_cell_length_a 8.881
_cell_length_b 9.857
_cell_length_c 14.211
_cell_angle_alpha 90.00
_cell_angle_beta 105.38
_cell_angle_gamma 90.00
_symmetry_space_group_name_H-M 'P 1 21/c 1'
_symmetry_Int_Tables_number 14
loop_
_symmetry_equiv_pos_as_xyz
'x,y,z'
'-x,-y,-z'
'-x,y+1/2,-z+1/2'
'x,-y+1/2,z+1/2'
loop_
_atom_site_label
_atom_site_fract_x
_atom_site_fract_y
_atom_site_fract_z
Gd1 0.217 0.006 0.014
Gd2 0.282 0.001 0.491
P1 0.028 0.222 0.597
P2 0.110 0.246 0.313
P3 0.233 0.733 0.186
P4 0.458 0.721 0.400
O1 0.010 0.129 0.061
O2 0.070 0.695 0.211
O3 0.120 0.140 0.540
O4 0.125 0.656 0.901
O5 0.135 0.126 0.872
O6 0.136 0.224 0.708
O7 0.215 0.128 0.354
O8 0.226 0.626 0.645
O9 0.272 0.621 0.125
O10 0.357 0.730 0.288
O11 0.368 0.634 0.455
O12 0.388 0.157 0.103
O13 0.480 0.630 0.938
# Total moment = 14.00 μB per formula unit
# E_tot = -8.651 eV per atom

---

2.
# Gd2P4O13 | the Materials Project | GGA-PBE | optimized geometry
data_Gd2P4O13
_cell_length_a 8.979
_cell_length_b 9.763
_cell_length_c 14.052
_cell_angle_alpha 90.00
_cell_angle_beta 106.65
_cell_angle_gamma 90.00
_symmetry_space_group_name_H-M 'P 1 21/c 1'
_symmetry_Int_Tables_number 14
loop_
_symmetry_equiv_pos_as_xyz
'x,y,z'
'-x,-y,-z'
'-x,y+1/2,-z+1/2'
'x,-y+1/2,z+1/2'
loop_
_atom_site_label
_atom_site_fract_x
_atom_site_fract_y
_atom_site_fract_z
Gd1 0.022 0.005 0.221
Gd2 0.449 0.501 0.736
P1 0.150 0.239 0.438
P2 0.218 0.207 0.656
P3 0.288 0.733 0.347
P4 0.493 0.248 0.442
O1 0.050 0.135 0.914
O2 0.115 0.124 0.365
O3 0.122 0.131 0.712
O4 0.133 0.177 0.540
O5 0.143 0.669 0.363
O6 0.217 0.135 0.171
O7 0.252 0.636 0.781
O8 0.330 0.210 0.963
O9 0.382 0.154 0.676
O10 0.384 0.630 0.309
O11 0.396 0.706 0.952
O12 0.444 0.627 0.596
O13 0.469 0.122 0.378
# Total moment = 14.00 μB per formula unit
# E_tot = -8.658 eV per atom

---

3.
# Gd2P4O13 | the Materials Project | GGA-PBE | optimized geometry
data_Gd2P4O13
_cell_length_a 12.060
_cell_length_b 6.855
_cell_length_c 13.132
_cell_angle_alpha 90.00
_cell_angle_beta 105.87
_cell_angle_gamma 90.00
_symmetry_space_group_name_H-M 'C 1 2/c 1'
_symmetry_Int_Tables_number 15
loop_
_symmetry_equiv_pos_as_xyz
'x,y,z'
'-x,-y,-z'
'-x,y,-z+1/2'
'x,-y,z+1/2'
'x+1/2,y+1/2,z'
'-x+1/2,-y+1/2,-z'
'-x+1/2,y+1/2,-z+1/2'
'x+1/2,-y+1/2,z+1/2'
loop_
_atom_site_label
_atom_site_fract_x
_atom_site_fract_y
_atom_site_fract_z
Gd1 0.190 0.002 0.051
P1 0.011 0.354 0.865
P2 0.233 0.494 0.659
O1 0.000 0.260 0.750
O2 0.003 0.183 0.937
O3 0.097 0.496 0.654
O4 0.112 0.489 0.896
O5 0.200 0.006 0.226
O6 0.245 0.180 0.406
O7 0.250 0.174 0.905
# Total moment = 14.00 μB per formula unit
# E_tot = -8.654 eV per atom

---

4.
# GdP3O9 | the Materials Project | GGA-PBE | optimized geometry
data_GdP3O9
_cell_length_a 8.544
_cell_length_b 11.166
_cell_length_c 7.286
_cell_angle_alpha 90.00
_cell_angle_beta 90.00
_cell_angle_gamma 90.00
_symmetry_space_group_name_H-M 'C 2 2 21'
_symmetry_Int_Tables_number 20
~~~

"So you seek me out, this place?"

Materials data that have nothing to do with the article:
~~~
[1]
! PBE-GGA Ce3Ru, optimized geometry; values from VASP
&SYSTEM
  ibrav = 0, nat = 16, ntyp = 2
/
ATOMIC_SPECIES
Ce 140.12 Ce.upf
Ru 101.07 Ru.upf
ATOMIC_POSITIONS angstrom
Ce 0.2907 2.4403 0.9307
Ce 1.1521 0.5731 4.0019
Ce 1.1521 4.3075 4.0019
Ce 2.3316 5.4537 0.9525
Ce 2.3316 9.1882 0.9525
Ce 3.1931 7.3210 3.9801
Ce 3.7744 2.4403 2.1188
Ce 4.6359 0.5731 5.1464
Ce 4.6359 4.3075 5.1464
Ce 5.8153 5.4537 2.0970
Ce 5.8153 9.1882 2.0970
Ce 6.6768 7.3210 5.1682
Ru 0.9573 7.3210 2.6435
Ru 2.5264 2.4403 5.6929
Ru 4.4410 7.3210 0.4060
Ru 6.0102 2.4403 3.4554
CELL_PARAMETERS angstrom
6.9675 0.0000 0.0000
0.0000 9.7613 0.0000
0.0000 0.0000 6.0989
! Crystal system: orthorhombic

[2]
! PBE-GGA CeSi2Ru2, optimized geometry; values from VASP
&SYSTEM
  ibrav = 0, nat = 5, ntyp = 3
/
ATOMIC_SPECIES
Ce 140.12 Ce.upf
Si 28.09 Si.upf
Ru 101.07 Ru.upf
ATOMIC_POSITIONS angstrom
Ce 0.0000 0.0000 0.0000
Si 0.0000 0.0000 3.5733
Si 0.0000 0.0000 6.1382
Ru 2.1022 0.0000 2.4279
Ru 0.0000 2.1022 2.4279
CELL_PARAMETERS angstrom
-2.1022 2.1022 4.8558
2.1022 -2.1022 4.8558
2.1022 2.1022 -4.8558
! Crystal system: tetragonal

[3]
! PBE-GGA CeSi3Ru, optimized geometry; values from VASP
&SYSTEM
  ibrav = 0, nat = 5, ntyp = 3
/
ATOMIC_SPECIES
Ce 140.12 Ce.upf
Si 28.09 Si.upf
Ru 101.07 Ru.upf
ATOMIC_POSITIONS angstrom
Ce 0.0000 0.0000 0.0000
Si 2.0934 0.0000 2.3044
Si 0.0000 0.0000 5.7391
Si 0.0000 2.0934 2.3044
Ru 0.0000 0.0000 3.3955
CELL_PARAMETERS angstrom
-2.0934 2.0934 4.9978
2.0934 -2.0934 4.9978
2.0934 2.0934 -4.9978
! Crystal system: tetragonal

[4]
! PBE-GGA Ce3Sn13Ru4, optimized geometry; values from VASP
&SYSTEM
  ibrav = 0, nat = 40, ntyp = 3
/
ATOMIC_SPECIES
Ce 140.12 Ce.upf
Sn 118.71 Sn.upf
Ru 101.07 Ru.upf
ATOMIC_POSITIONS angstrom
Ce 0.0000 2.4476 4.8952
Ce 0.0000 7.3428 4.8952
Ce 2.4476 4.8952 0.0000
Ce 4.8952 0.0000 2.4476
Ce 4.8952 0.0000 7.3428
Ce 7.3428 4.8952 0.0000
Sn 0.0000 0.0000 0.0000
Sn 0.0000 2.9662 1.5071
Sn 0.0000 2.9662 8.2833
Sn 0.0000 6.8242 1.5071
Sn 0.0000 6.8242 8.2833
Sn 1.5071 0.0000 2.9662
Sn 1.5071 0.0000 6.8242
Sn 1.9290 4.8952 3.3881
Sn 1.9290 4.8952 6.4023
Sn 2.9662 1.5071 0.0000
Sn 2.9662 8.2833 0.0000
Sn 3.3881 1.9290 4.8952
Sn 3.3881 7.8614 4.8952
Sn 4.8952 3.3881 1.9290
Sn 4.8952 3.3881 7.8614
Sn 4.8952 4.8952 4.8952
Sn 4.8952 6.4023 1.9290
Sn 4.8952 6.4023 7.8614
Sn 6.4023 1.9290 4.8952
Sn 6.4023 7.8614 4.8952
Sn 6.8242 1.5071 0.0000
Sn 6.8242 8.2833 0.0000
Sn 7.8614 4.8952 3.3881
Sn 7.8614 4.8952 6.4023
Sn 8.2833 0.0000 2.9662
Sn 8.2833 0.0000 6.8242
Ru 2.4476 2.4476 2.4476
Ru 2.4476 2.4476 7.3428
Ru 2.4476 7.3428 2.4476
Ru 2.4476 7.3428 7.3428
Ru 7.3428 2.4476 2.4476
Ru 7.3428 2.4476 7.3428
Ru 7.3428 7.3428 2.4476
Ru 7.3428 7.3428 7.3428
CELL_PARAMETERS angstrom
9.7904 0.0000 0.0000
0.0000 9.7904 0.0000
0.0000 0.0000 9.7904
! Crystal system: cubic

[5]
! PBE-GGA CeSn3Ru, optimized geometry; values from VASP
&SYSTEM
  ibrav = 0, nat = 40, ntyp = 3
/
ATOMIC_SPECIES
Ce 140.12 Ce.upf
Sn 118.71 Sn.upf
Ru 101.07 Ru.upf
~~~

Kagome looked back up with no answer,

"Very well, I shall take you in," Kikyo stated stepping back so her sister could stand. Kagome stood and brushed the snow and dirt off; she then bowed and followed her sister down the dark halls.

"I will give you a room; I take it you did not bring anything with you?"

"No," Kagome answered,

"Good, your worth will be measured by the gifts you may receive," Kikyo and Kagome were not close sisters, they were both pretty, but Kagome was much more fun, people liked being around her more, yet she also had a mouth that many men did not find useful. They made their way upstairs; Kagome noted all the doors, the place must have had fifty rooms.

"This one will be yours" Kikyo unlocked the door and gave Kagome the key. Kagome walked in and looked around the small room; it had a bed, one dresser that was old, the paint was peeling, it also had a window. Kagome walked up to the window and look outside at the snow, she then picked up the music box that was sitting on the seal, she opened it a listened to the music,

"Sounds like winter," She said turning to look at her sister, but she was alone.

To hear what the music box music Kagome said sounded like winter LOOK UP ( Suna No Oshiro- Music Box Version )